Entries =
┌──
(a)
DFT (ωB97M-V with the def2-TZVPD basis set) results for a 2-piece molecular cluster, Br2ClHNP overall.

Output
LUMO energy (spin up / spin down) ... -2.87 / -3.19 eV
HOMO-LUMO gap (spin up / spin down) ... 0.270 / 0.237 Eh

Structure (ORCA input):
```
! RIJCOSX wB97M-V def2-TZVPD def2/J DEFGRID3
* xyz 0 1
N -1.493 0.353 0.163
P -0.014 -0.080 0.139
Cl 0.653 -0.222 1.973
Br 2.466 1.667 -0.723
Br 0.451 -2.020 -0.886
H -2.063 0.302 -0.666
*
```

---

(b)
DFT (ωB97M-V with the def2-TZVPD basis set) results for a 2-piece molecular cluster, Br2ClHNP overall.

Output
LUMO energy (spin up / spin down) ... -2.50 / -3.69 eV
HOMO-LUMO gap (spin up / spin down) ... 0.294 / 0.205 Eh

Structure (ORCA input):
```
! RIJCOSX wB97M-V def2-TZVPD def2/J DEFGRID3
* xyz 0 1
N 0.359 -0.717 -0.393
P -0.704 0.301 0.088
Cl -1.212 1.389 -1.486
Br 3.459 1.047 0.745
Br -2.672 -0.626 0.820
H 0.771 -1.395 0.226
*
```

---

Stability verdict: (a), ahead by 15.8 kcal/mol

---

(a)
DFT (ωB97M-V with the def2-TZVPD basis set) results for one molecule with the formula C2H5NO2S.

Output
Structure (SMILES) ... COC(=O)SN
LUMO energy ... 0.49 eV
HOMO-LUMO gap ... 0.365 Eh

Structure (ORCA input):
```
! RIJCOSX wB97M-V def2-TZVPD def2/J DEFGRID3
* xyz 0 1
C -0.001 1.076 1.904
O -0.688 0.297 0.978
C 0.080 -0.047 -0.093
O 1.290 -0.063 -0.055
S -1.060 -0.520 -1.362
N 0.041 -1.433 -2.329
H 0.911 0.720 2.135
H -0.695 1.326 2.751
H 0.142 2.231 1.581
H 0.081 -2.454 -2.158
H -0.102 -1.132 -3.352
*
```

---

(b)
DFT (ωB97M-V with the def2-TZVPD basis set) results for a 2-piece molecular cluster, C2H5NO2S overall.

Output
LUMO energy ... -0.45 eV
HOMO-LUMO gap ... 0.318 Eh

Structure (ORCA input):
```
! RIJCOSX wB97M-V def2-TZVPD def2/J DEFGRID3
* xyz 0 1
C 1.759 -0.077 -0.039
C -0.436 0.003 -0.195
H 2.691 -0.696 0.086
H 2.070 0.526 0.950
H 1.932 0.496 -1.085
H -1.683 -1.452 0.799
H -2.377 0.978 0.078
N -1.497 -0.736 -0.414
O 0.533 -0.762 -0.096
O -2.712 0.116 0.039
S -0.279 1.602 -0.122
*
```

---

Stability verdict: (a), ahead by 106.7 kcal/mol

---

(a)
DFT (ωB97M-V with the def2-TZVPD basis set) results for a 2-piece molecular cluster, C2H5NO2S overall.

Output
LUMO energy (spin up / spin down) ... -1.49 / -0.28 eV
HOMO-LUMO gap (spin up / spin down) ... 0.273 / 0.300 Eh

Structure (ORCA input):
```
! RIJCOSX wB97M-V def2-TZVPD def2/J DEFGRID3
* xyz 0 1
C 0.226 -0.764 0.930
C 0.024 0.968 -1.162
N -1.401 0.857 -0.938
O -1.857 1.554 -0.013
O -1.979 -0.014 -1.548
S 0.663 2.385 -0.639
H -0.442 -1.599 0.599
H -0.282 0.085 1.286
H 1.215 -0.904 1.019
H 0.439 0.337 -1.965
H -0.578 2.532 -0.058
*
```

---

(b)
DFT (ωB97M-V with the def2-TZVPD basis set) results for C2H5NO2S as an isolated structure.

Output
LUMO energy ... 0.31 eV
HOMO-LUMO gap ... 0.377 Eh

Structure (ORCA input):
```
! RIJCOSX wB97M-V def2-TZVPD def2/J DEFGRID3
* xyz 0 1
C -0.812 -0.617 0.119
C -1.276 0.748 -0.194
N 0.307 -1.033 -0.296
O 1.688 1.349 0.338
O 2.910 -0.755 0.437
S 2.180 0.192 -0.376
H -1.471 -1.227 0.744
H -0.772 1.130 -1.076
H -1.000 1.400 0.637
H -2.356 0.777 -0.314
H 0.603 -1.963 -0.019
*
```

---

Stability verdict: (b), ahead by 135.7 kcal/mol

---

(a)
DFT (ωB97M-V with the def2-TZVPD basis set) results for a 2-piece molecular cluster, C2H4N4S overall.

Output
LUMO energy ... -0.91 eV
HOMO-LUMO gap ... 0.318 Eh

Structure (ORCA input):
```
! RIJCOSX wB97M-V def2-TZVPD def2/J DEFGRID3
* xyz 0 1
C 0.212 -1.398 1.529
C 0.621 -1.009 0.272
N -0.386 -0.336 2.115
N -0.374 0.663 1.301
N 0.238 0.277 0.221
N 0.191 1.428 -1.320
S -1.275 1.457 -1.983
H 0.294 -2.335 2.037
H 1.137 -1.489 -0.529
H 0.355 2.250 -0.747
H -1.014 0.492 -2.895
*
```

---

(b)
DFT (ωB97M-V with the def2-TZVPD basis set) results for one molecule with the formula C2H4N4S.

Output
Structure (SMILES) ... Nn1ncnc1S
LUMO energy ... 0.71 eV
HOMO-LUMO gap ... 0.356 Eh

Structure (ORCA input):
```
! RIJCOSX wB97M-V def2-TZVPD def2/J DEFGRID3
* xyz 0 1
N 0.261 1.657 -0.046
N -0.167 0.324 -0.031
N -1.434 -0.065 0.097
└──
Work order =
The reader should quote the listing further above from the line with "0.771 -1.395" to the end without altering anything.
Solution =
H 0.771 -1.395 0.226
*
```

---

Stability verdict: (a), ahead by 15.8 kcal/mol

---

(a)
DFT (ωB97M-V with the def2-TZVPD basis set) results for one molecule with the formula C2H5NO2S.

Output
Structure (SMILES) ... COC(=O)SN
LUMO energy ... 0.49 eV
HOMO-LUMO gap ... 0.365 Eh

Structure (ORCA input):
```
! RIJCOSX wB97M-V def2-TZVPD def2/J DEFGRID3
* xyz 0 1
C -0.001 1.076 1.904
O -0.688 0.297 0.978
C 0.080 -0.047 -0.093
O 1.290 -0.063 -0.055
S -1.060 -0.520 -1.362
N 0.041 -1.433 -2.329
H 0.911 0.720 2.135
H -0.695 1.326 2.751
H 0.142 2.231 1.581
H 0.081 -2.454 -2.158
H -0.102 -1.132 -3.352
*
```

---

(b)
DFT (ωB97M-V with the def2-TZVPD basis set) results for a 2-piece molecular cluster, C2H5NO2S overall.

Output
LUMO energy ... -0.45 eV
HOMO-LUMO gap ... 0.318 Eh

Structure (ORCA input):
```
! RIJCOSX wB97M-V def2-TZVPD def2/J DEFGRID3
* xyz 0 1
C 1.759 -0.077 -0.039
C -0.436 0.003 -0.195
H 2.691 -0.696 0.086
H 2.070 0.526 0.950
H 1.932 0.496 -1.085
H -1.683 -1.452 0.799
H -2.377 0.978 0.078
N -1.497 -0.736 -0.414
O 0.533 -0.762 -0.096
O -2.712 0.116 0.039
S -0.279 1.602 -0.122
*
```

---

Stability verdict: (a), ahead by 106.7 kcal/mol

---

(a)
DFT (ωB97M-V with the def2-TZVPD basis set) results for a 2-piece molecular cluster, C2H5NO2S overall.

Output
LUMO energy (spin up / spin down) ... -1.49 / -0.28 eV
HOMO-LUMO gap (spin up / spin down) ... 0.273 / 0.300 Eh

Structure (ORCA input):
```
! RIJCOSX wB97M-V def2-TZVPD def2/J DEFGRID3
* xyz 0 1
C 0.226 -0.764 0.930
C 0.024 0.968 -1.162
N -1.401 0.857 -0.938
O -1.857 1.554 -0.013
O -1.979 -0.014 -1.548
S 0.663 2.385 -0.639
H -0.442 -1.599 0.599
H -0.282 0.085 1.286
H 1.215 -0.904 1.019
H 0.439 0.337 -1.965
H -0.578 2.532 -0.058
*
```

---

(b)
DFT (ωB97M-V with the def2-TZVPD basis set) results for C2H5NO2S as an isolated structure.

Output
LUMO energy ... 0.31 eV
HOMO-LUMO gap ... 0.377 Eh

Structure (ORCA input):
```
! RIJCOSX wB97M-V def2-TZVPD def2/J DEFGRID3
* xyz 0 1
C -0.812 -0.617 0.119
C -1.276 0.748 -0.194
N 0.307 -1.033 -0.296
O 1.688 1.349 0.338
O 2.910 -0.755 0.437
S 2.180 0.192 -0.376
H -1.471 -1.227 0.744
H -0.772 1.130 -1.076
H -1.000 1.400 0.637
H -2.356 0.777 -0.314
H 0.603 -1.963 -0.019
*
```

---

Stability verdict: (b), ahead by 135.7 kcal/mol

---

(a)
DFT (ωB97M-V with the def2-TZVPD basis set) results for a 2-piece molecular cluster, C2H4N4S overall.

Output
LUMO energy ... -0.91 eV
HOMO-LUMO gap ... 0.318 Eh

Structure (ORCA input):
```
! RIJCOSX wB97M-V def2-TZVPD def2/J DEFGRID3
* xyz 0 1
C 0.212 -1.398 1.529
C 0.621 -1.009 0.272
N -0.386 -0.336 2.115
N -0.374 0.663 1.301
N 0.238 0.277 0.221
N 0.191 1.428 -1.320
S -1.275 1.457 -1.983
H 0.294 -2.335 2.037
H 1.137 -1.489 -0.529
H 0.355 2.250 -0.747
H -1.014 0.492 -2.895
*
```

---

(b)
DFT (ωB97M-V with the def2-TZVPD basis set) results for one molecule with the formula C2H4N4S.

Output
Structure (SMILES) ... Nn1ncnc1S
LUMO energy ... 0.71 eV
HOMO-LUMO gap ... 0.356 Eh

Structure (ORCA input):
```
! RIJCOSX wB97M-V def2-TZVPD def2/J DEFGRID3
* xyz 0 1
N 0.261 1.657 -0.046
N -0.167 0.324 -0.031
N -1.434 -0.065 0.097